_Material_
____________
Record 1
Structure and simulated PXRD pattern of Pm3Nd6Ho2In (a structure optimized by DFT (GGA-PBE); CuKα).

Top 10 peaks for 15 to 90 degrees two-theta, in order of rising 2θ:
d/Å, intensity
2.950, 100.0
2.921, 32.2
2.554, 44.8
2.538, 21.9
1.806, 16.0
1.794, 15.3
1.545, 9.6
1.540, 18.8
1.532, 18.3
1.475, 12.2

Lattice parameters (Å, degrees): 6.274 6.274 11.879 95.16 95.16 120.25
Element x y z (fractional)
Pm: 0.000 0.000 0.000
Pm: 0.331 0.669 0.000
Pm: 0.669 0.331 0.000
Nd: 0.094 0.420 0.257
Nd: 0.254 0.254 0.746
Nd: 0.420 0.094 0.257
Nd: 0.580 0.906 0.743
Nd: 0.746 0.746 0.254
Nd: 0.906 0.580 0.743
Ho: 0.166 0.834 0.500
Ho: 0.834 0.166 0.500
In: 0.500 0.500 0.500

=====

Record 2
Structure and simulated PXRD pattern of PmNdHoIn (a structure optimized by DFT (GGA-PBE); CuKα).

Top 10 peaks for 15 to 90 degrees two-theta, in order of rising 2θ:
d/Å, intensity
2.841, 100.0
2.526, 18.1
2.429, 32.4
1.751, 24.0
1.718, 11.3
1.512, 14.8
1.470, 26.8
1.420, 11.9
1.135, 11.8
1.121, 5.7

Lattice parameters (Å, degrees): 6.109 6.109 6.109 133.14 133.14 68.43
Element x y z (fractional)
Pm: 0.000 0.000 0.000
Nd: 0.250 0.750 0.500
Ho: 0.500 0.500 0.000
In: 0.750 0.250 0.500

=====

Record 3
Structure and simulated PXRD pattern of Ho2InNi2 (a structure optimized by DFT (GGA-PBE); CuKα).

Top 10 peaks for 15 to 90 degrees two-theta, in order of rising 2θ:
d/Å, intensity
3.295, 22.1
2.605, 15.4
2.593, 57.5
2.446, 100.0
2.330, 43.2
1.825, 16.2
1.787, 15.7
1.605, 18.7
1.568, 17.8
1.437, 18.2

Lattice parameters (Å, degrees): 7.367 7.367 3.651 90.00 90.00 90.00
Element x y z (fractional)
Ho: 0.175 0.325 0.000
Ho: 0.325 0.825 0.000
Ho: 0.675 0.175 0.000
Ho: 0.825 0.675 0.000
In: 0.000 0.000 0.500
In: 0.500 0.500 0.500
Ni: 0.120 0.620 0.500
Ni: 0.380 0.120 0.500
Ni: 0.620 0.880 0.500
Ni: 0.880 0.380 0.500

=====

Record 4
Structure and simulated PXRD pattern of Ho2In5Ni (a structure optimized by DFT (GGA-PBE); CuKα).

Top 10 peaks for 15 to 90 degrees two-theta, in order of rising 2θ:
d/Å, intensity
3.034, 100.0
2.512, 9.8
2.364, 14.0
2.343, 74.5
1.991, 28.0
1.854, 23.9
1.517, 11.4
1.454, 21.3
1.353, 12.6
1.273, 12.6

Lattice parameters (Å, degrees): 11.001 11.001 11.001 24.59 24.59 24.59
Element x y z (fractional)
Ho: 0.081 0.081 0.081
Ho: 0.919 0.919 0.919
In: 0.204 0.204 0.204
In: 0.356 0.356 0.356
In: 0.500 0.500 0.500
In: 0.644 0.644 0.644
In: 0.796 0.796 0.796
Ni: 0.000 0.000 0.000

=====

Record 5
Structure and simulated PXRD pattern of Ho2NpIn9 (a structure optimized by DFT (GGA-PBE); CuKα).

Top 10 peaks for 15 to 90 degrees two-theta, in order of rising 2θ:
d/Å, intensity
4.629, 4.6
3.273, 4.0
2.673, 100.0
2.320, 16.7
2.312, 33.1
1.638, 22.4
1.635, 11.2
1.398, 13.1
1.395, 26.0
1.336, 11.3

Lattice parameters (Å, degrees): 4.624 4.624 13.919 90.00 90.00 90.00
Element x y z (fractional)
Ho: 0.000 0.000 0.165
Ho: 0.000 0.000 0.835
Np: 0.000 0.000 0.500
In: 0.000 0.500 0.000
In: 0.000 0.500 0.333
In: 0.000 0.500 0.667
In: 0.500 0.000 0.000
In: 0.500 0.000 0.333
In: 0.500 0.000 0.667
In: 0.500 0.500 0.167
In: 0.500 0.500 0.500
In: 0.500 0.500 0.833

=====

Record 6
Structure and simulated PXRD pattern of Ho3InO6 (a structure optimized by DFT (GGA-PBE); CuKα).

Top 10 peaks for 15 to 90 degrees two-theta, in order of rising 2θ:
d/Å, intensity
3.705, 38.4
3.317, 23.8
3.008, 100.0
2.927, 41.9
2.724, 68.4
2.120, 19.1
2.077, 29.1
1.870, 15.0
1.804, 30.9
1.727, 20.9

Lattice parameters (Å, degrees): 6.641 6.641 6.641 91.90 91.90 91.90
Element x y z (fractional)
Ho: 0.059 0.752 0.567
Ho: 0.248 0.433 0.941
Ho: 0.433 0.941 0.248
Ho: 0.567 0.059 0.752
Ho: 0.752 0.567 0.059
Ho: 0.941 0.248 0.433
In: 0.000 0.000 0.000
In: 0.500 0.500 0.500
O: 0.032 0.686 0.901
O: 0.099 0.968 0.314
O: 0.187 0.429 0.592
O: 0.314 0.099 0.968
O: 0.408 0.813 0.571
O: 0.429 0.592 0.187
O: 0.571 0.408 0.813
O: 0.592 0.187 0.429
O: 0.686 0.901 0.032
O: 0.813 0.571 0.408
O: 0.901 0.032 0.686
O: 0.968 0.314 0.099

=====

Record 7
____________

_Exercise_
Quote the calculation results above with every line break kept.

_Here it is_
Record 1
Structure and simulated PXRD pattern of Pm3Nd6Ho2In (a structure optimized by DFT (GGA-PBE); CuKα).

Top 10 peaks for 15 to 90 degrees two-theta, in order of rising 2θ:
d/Å, intensity
2.950, 100.0
2.921, 32.2
2.554, 44.8
2.538, 21.9
1.806, 16.0
1.794, 15.3
1.545, 9.6
1.540, 18.8
1.532, 18.3
1.475, 12.2

Lattice parameters (Å, degrees): 6.274 6.274 11.879 95.16 95.16 120.25
Element x y z (fractional)
Pm: 0.000 0.000 0.000
Pm: 0.331 0.669 0.000
Pm: 0.669 0.331 0.000
Nd: 0.094 0.420 0.257
Nd: 0.254 0.254 0.746
Nd: 0.420 0.094 0.257
Nd: 0.580 0.906 0.743
Nd: 0.746 0.746 0.254
Nd: 0.906 0.580 0.743
Ho: 0.166 0.834 0.500
Ho: 0.834 0.166 0.500
In: 0.500 0.500 0.500

=====

Record 2
Structure and simulated PXRD pattern of PmNdHoIn (a structure optimized by DFT (GGA-PBE); CuKα).

Top 10 peaks for 15 to 90 degrees two-theta, in order of rising 2θ:
d/Å, intensity
2.841, 100.0
2.526, 18.1
2.429, 32.4
1.751, 24.0
1.718, 11.3
1.512, 14.8
1.470, 26.8
1.420, 11.9
1.135, 11.8
1.121, 5.7

Lattice parameters (Å, degrees): 6.109 6.109 6.109 133.14 133.14 68.43
Element x y z (fractional)
Pm: 0.000 0.000 0.000
Nd: 0.250 0.750 0.500
Ho: 0.500 0.500 0.000
In: 0.750 0.250 0.500

=====

Record 3
Structure and simulated PXRD pattern of Ho2InNi2 (a structure optimized by DFT (GGA-PBE); CuKα).

Top 10 peaks for 15 to 90 degrees two-theta, in order of rising 2θ:
d/Å, intensity
3.295, 22.1
2.605, 15.4
2.593, 57.5
2.446, 100.0
2.330, 43.2
1.825, 16.2
1.787, 15.7
1.605, 18.7
1.568, 17.8
1.437, 18.2

Lattice parameters (Å, degrees): 7.367 7.367 3.651 90.00 90.00 90.00
Element x y z (fractional)
Ho: 0.175 0.325 0.000
Ho: 0.325 0.825 0.000
Ho: 0.675 0.175 0.000
Ho: 0.825 0.675 0.000
In: 0.000 0.000 0.500
In: 0.500 0.500 0.500
Ni: 0.120 0.620 0.500
Ni: 0.380 0.120 0.500
Ni: 0.620 0.880 0.500
Ni: 0.880 0.380 0.500

=====

Record 4
Structure and simulated PXRD pattern of Ho2In5Ni (a structure optimized by DFT (GGA-PBE); CuKα).

Top 10 peaks for 15 to 90 degrees two-theta, in order of rising 2θ:
d/Å, intensity
3.034, 100.0
2.512, 9.8
2.364, 14.0
2.343, 74.5
1.991, 28.0
1.854, 23.9
1.517, 11.4
1.454, 21.3
1.353, 12.6
1.273, 12.6

Lattice parameters (Å, degrees): 11.001 11.001 11.001 24.59 24.59 24.59
Element x y z (fractional)
Ho: 0.081 0.081 0.081
Ho: 0.919 0.919 0.919
In: 0.204 0.204 0.204
In: 0.356 0.356 0.356
In: 0.500 0.500 0.500
In: 0.644 0.644 0.644
In: 0.796 0.796 0.796
Ni: 0.000 0.000 0.000

=====

Record 5
Structure and simulated PXRD pattern of Ho2NpIn9 (a structure optimized by DFT (GGA-PBE); CuKα).

Top 10 peaks for 15 to 90 degrees two-theta, in order of rising 2θ:
d/Å, intensity
4.629, 4.6
3.273, 4.0
2.673, 100.0
2.320, 16.7
2.312, 33.1
1.638, 22.4
1.635, 11.2
1.398, 13.1
1.395, 26.0
1.336, 11.3

Lattice parameters (Å, degrees): 4.624 4.624 13.919 90.00 90.00 90.00
Element x y z (fractional)
Ho: 0.000 0.000 0.165
Ho: 0.000 0.000 0.835
Np: 0.000 0.000 0.500
In: 0.000 0.500 0.000
In: 0.000 0.500 0.333
In: 0.000 0.500 0.667
In: 0.500 0.000 0.000
In: 0.500 0.000 0.333
In: 0.500 0.000 0.667
In: 0.500 0.500 0.167
In: 0.500 0.500 0.500
In: 0.500 0.500 0.833

=====

Record 6
Structure and simulated PXRD pattern of Ho3InO6 (a structure optimized by DFT (GGA-PBE); CuKα).

Top 10 peaks for 15 to 90 degrees two-theta, in order of rising 2θ:
d/Å, intensity
3.705, 38.4
3.317, 23.8
3.008, 100.0
2.927, 41.9
2.724, 68.4
2.120, 19.1
2.077, 29.1
1.870, 15.0
1.804, 30.9
1.727, 20.9

Lattice parameters (Å, degrees): 6.641 6.641 6.641 91.90 91.90 91.90
Element x y z (fractional)
Ho: 0.059 0.752 0.567
Ho: 0.248 0.433 0.941
Ho: 0.433 0.941 0.248
Ho: 0.567 0.059 0.752
Ho: 0.752 0.567 0.059
Ho: 0.941 0.248 0.433
In: 0.000 0.000 0.000
In: 0.500 0.500 0.500
O: 0.032 0.686 0.901
O: 0.099 0.968 0.314
O: 0.187 0.429 0.592
O: 0.314 0.099 0.968
O: 0.408 0.813 0.571
O: 0.429 0.592 0.187
O: 0.571 0.408 0.813
O: 0.592 0.187 0.429
O: 0.686 0.901 0.032
O: 0.813 0.571 0.408
O: 0.901 0.032 0.686
O: 0.968 0.314 0.099

=====

Record 7